Now copy the lines further below from the one with "3.86 -2.30" to the one with "2.87" with every line break kept.
____________
# 1
Density functional theory data (ωB97M-V/def2-TZVPD) for C26H34F3N8O2P2Re as an isolated structure at a distorted geometry.

```
76
C26H34F3N8O2P2Re | the Open Molecules 2025 dataset | ωB97M-V/def2-TZVPD
Re 0.59 0.27 0.32
N -0.07 0.80 3.58
C -0.49 1.83 2.76
C -1.15 2.90 3.36
C -1.52 3.98 2.60
C -1.24 3.99 1.24
C -0.62 2.91 0.70
N -0.24 1.83 1.46
C 0.41 -0.46 3.32
C 0.76 -1.24 4.43
C 1.19 -2.52 4.25
C 1.23 -3.05 2.95
C 0.89 -2.25 1.91
N 0.54 -0.92 2.06
H -0.23 0.98 4.55
H -1.38 2.86 4.42
H -2.04 4.82 3.06
H -1.50 4.83 0.60
H -0.41 2.85 -0.36
H 0.66 -0.81 5.42
H 1.48 -3.12 5.10
H 1.50 -4.09 2.78
H 0.84 -2.62 0.90
N -0.54 -2.90 -1.52
N -0.20 -2.61 -2.86
C 0.35 -1.47 -3.24
N 0.59 -1.27 -4.52
N 0.59 -0.57 -2.23
N 0.94 0.66 -2.52
O 1.23 1.14 -3.59
O 0.94 1.42 -1.46
H -0.84 -3.87 -1.50
H -1.33 -2.32 -1.27
H -0.44 -3.28 -3.57
H 0.36 -1.96 -5.22
H 0.97 -0.39 -4.83
C 2.89 3.05 0.33
P 2.81 1.34 0.96
C 3.05 1.53 2.75
C 4.40 0.64 0.41
C 4.37 -0.85 0.58
P 2.97 -1.40 -0.42
C 3.58 -1.14 -2.13
C 3.05 -3.21 -0.27
H 3.79 3.54 0.71
H 2.01 3.61 0.65
H 2.92 3.04 -0.76
H 3.98 2.07 2.93
H 3.13 0.55 3.23
H 2.23 2.08 3.20
H 5.20 1.11 0.98
H 4.54 0.93 -0.63
H 4.18 -1.16 1.61
H 5.31 -1.32 0.26
H 4.61 -1.50 -2.20
H 3.55 -0.09 -2.42
H 2.98 -1.72 -2.83
H 3.99 -3.57 -0.69
H 2.22 -3.68 -0.81
H 3.00 -3.51 0.78
F -8.00 1.66 -3.07
C -7.73 0.38 -2.77
F -8.66 -0.08 -1.93
F -7.78 -0.34 -3.91
C -6.34 0.28 -2.18
C -5.27 0.74 -2.94
C -3.99 0.64 -2.44
C -3.77 0.07 -1.17
C -4.86 -0.38 -0.42
C -6.15 -0.28 -0.93
C -2.46 -0.02 -0.65
C -1.32 -0.09 -0.17
H -5.45 1.18 -3.91
H -3.14 1.00 -3.02
H -4.70 -0.80 0.57
H -6.99 -0.63 -0.35
```

## Properties
* highest occupied orbital energy (spin up / spin down): -15.76 / -16.02 eV
* energy relative to the best compared isomer or geometry (same formula, charge and spin): 0.000 eV
* Kohn-Sham gap (spin up / spin down): 0.2536 / 0.2136 hartree
* 2S+1: 4
* ⟨S²⟩: 3.799
* net charge: +3

# 2
Density functional theory data (ωB97M-V/def2-TZVPD) for one molecule with the formula C26H34N2O2.

```
64
C26H34N2O2 | the Open Molecules 2025 dataset | ωB97M-V/def2-TZVPD
C -1.97 -1.91 2.48
C -1.47 -2.92 1.45
C -2.57 -3.25 0.45
C -0.23 -2.45 0.74
C 0.97 -3.14 0.88
C 2.10 -2.76 0.17
C 2.07 -1.68 -0.70
C 3.29 -1.36 -1.53
N 4.24 -0.37 -1.04
C 4.47 -0.33 0.39
C 3.48 0.57 1.15
C 3.50 1.98 0.56
O 2.63 2.89 1.24
C 1.29 2.62 1.14
C 0.66 1.79 2.06
C -0.69 1.51 1.94
C -1.43 2.04 0.88
C -2.86 1.63 0.80
O -3.55 1.49 1.80
N -3.37 1.38 -0.43
C -2.69 1.28 -1.70
C -3.46 0.17 -2.43
C -4.90 0.43 -1.98
C -4.73 0.86 -0.52
C -0.82 2.94 0.01
C 0.53 3.23 0.14
C 3.21 1.90 -0.94
C 4.21 0.95 -1.61
C 0.88 -0.97 -0.82
C -0.24 -1.34 -0.10
H -1.17 -1.63 3.16
H -2.78 -2.33 3.06
H -2.33 -1.01 1.99
H -1.21 -3.85 1.99
H -2.21 -3.96 -0.30
H -3.42 -3.69 0.96
H -2.91 -2.35 -0.06
H 1.02 -3.99 1.54
H 3.01 -3.33 0.28
H 2.98 -1.05 -2.53
H 3.86 -2.30 -1.65
H 5.49 0.05 0.54
H 4.43 -1.35 0.78
H 3.75 0.60 2.20
H 2.47 0.15 1.06
H 4.49 2.42 0.72
H 1.23 1.37 2.87
H -1.18 0.88 2.66
H -2.79 2.22 -2.26
H -1.63 1.05 -1.57
H -3.12 -0.81 -2.09
H -3.34 0.22 -3.51
H -5.33 1.23 -2.56
H -5.53 -0.45 -2.07
H -4.84 0.02 0.18
H -5.45 1.63 -0.22
H -1.40 3.43 -0.75
H 1.00 3.92 -0.53
H 3.29 2.90 -1.39
H 2.20 1.54 -1.09
H 5.22 1.37 -1.50
H 4.00 0.87 -2.68
H 0.82 -0.13 -1.50
H -1.15 -0.77 -0.21
```

## Properties
* highest occupied orbital energy: -8.17 eV
* SMILES: CC(C)c1ccc(CN2CCC(Oc3ccc(C(=O)N4CCCC4)cc3)CC2)cc1
* energy relative to the best compared isomer or geometry (same formula, charge and spin): 1.768 eV
* Kohn-Sham gap: 0.3247 hartree

# 3
Density functional theory data (ωB97M-V/def2-TZVPD) for one molecule with the formula C26H34N4O.

```
65
C26H34N4O | the Open Molecules 2025 dataset | ωB97M-V/def2-TZVPD
C -4.40 -1.06 -0.75
O -3.46 -1.02 0.29
C -4.01 -0.73 1.56
C -4.64 0.67 1.63
N -3.85 1.60 0.87
C -4.47 2.85 0.50
C -3.33 3.59 -0.19
C -2.05 3.06 0.50
C -1.05 2.48 -0.51
N -1.65 1.45 -1.32
C -0.71 0.78 -2.21
C 0.47 0.18 -1.52
C 1.71 0.77 -1.39
N 2.45 -0.01 -0.57
C 3.76 0.18 -0.10
C 4.01 -0.14 1.23
____________
H 3.86 -2.30 -1.65
H 5.49 0.05 0.54
H 4.43 -1.35 0.78
H 3.75 0.60 2.20
H 2.47 0.15 1.06
H 4.49 2.42 0.72
H 1.23 1.37 2.87